Brief.
It remains to copy the whole of the calculation results below character by character.

Source.
[1]
This record from the Alexandria database describes a relaxed structure of ZrSb2TeI. The functional is PBE.

Cell lengths 5.734, 5.734, 5.606 Å; angles 90.00, 90.00, 90.00 degrees
Space group P4/mmm (No. 123)
Inequivalent atoms, fractional coordinates:
Zr 0.000 0.000 0.000 [1 per cell]
Sb 0.000 0.500 0.500 [2 per cell]
Te 0.500 0.500 0.500 [1 per cell]
I 0.500 0.500 0.000 [1 per cell]

* raw formation energy: 0.99 eV/atom
* offset from the most stable computed form: 452.3 kJ/mol of formula units

[2]
This record from the Alexandria database describes a relaxed structure of ZrSb2TeI. The functional is PBE.

Cell lengths 5.698, 5.698, 5.436 Å; angles 90.00, 90.00, 90.00 degrees
Space group P4/mmm (No. 123)
Inequivalent atoms, fractional coordinates:
Zr 0.000 0.000 0.000 [1 per cell]
Sb 0.000 0.500 0.000 [2 per cell]
Te 0.500 0.500 0.500 [1 per cell]
I 0.000 0.000 0.500 [1 per cell]

* raw formation energy: 0.21 eV/atom
* offset from the most stable computed form: 72.3 kJ/mol of formula units

[3]
This record from the Alexandria database describes a relaxed structure of ZrSbTe2I. The functional is PBE.

Cell lengths 5.676, 5.676, 5.669 Å; angles 90.00, 90.00, 90.00 degrees
Space group P4/mmm (No. 123)
Inequivalent atoms, fractional coordinates:
Zr 0.000 0.000 0.000 [1 per cell]
Sb 0.500 0.500 0.000 [1 per cell]
Te 0.000 0.500 0.500 [2 per cell]
I 0.500 0.500 0.500 [1 per cell]

* raw formation energy: 1.14 eV/atom
* offset from the most stable computed form: 571.6 kJ/mol of formula units

[4]
This record from the Alexandria database describes a relaxed structure of ZrSbTeI2. The functional is PBE.

Cell lengths 5.776, 5.776, 5.993 Å; angles 90.00, 90.00, 90.00 degrees
Space group P4/mmm (No. 123)
Inequivalent atoms, fractional coordinates:
Zr 0.000 0.000 0.000 [1 per cell]
Sb 0.500 0.500 0.000 [1 per cell]
Te 0.500 0.500 0.500 [1 per cell]
I 0.000 0.500 0.500 [2 per cell]

* raw formation energy: 0.91 eV/atom
* offset from the most stable computed form: 441.3 kJ/mol of formula units

[5]
This record from the Alexandria database describes a relaxed structure of ZrSbTeI2. The functional is PBE.

Cell lengths 5.770, 5.770, 5.697 Å; angles 90.00, 90.00, 90.00 degrees
Space group P4/mmm (No. 123)
Inequivalent atoms, fractional coordinates:
Zr 0.000 0.000 0.000 [1 per cell]
Sb 0.500 0.500 0.500 [1 per cell]
Te 0.000 0.000 0.500 [1 per cell]
I 0.000 0.500 0.000 [2 per cell]

* raw formation energy: 0.00 eV/atom
* offset from the most stable computed form: 0.0 kJ/mol of formula units

[6]
This record from the Alexandria database describes a relaxed structure of ZrSbTe2I. The functional is PBE.

Cell lengths 5.751, 5.751, 5.698 Å; angles 90.00, 90.00, 90.00 degrees
Space group P4/mmm (No. 123)
Inequivalent atoms, fractional coordinates:
Zr 0.000 0.000 0.000 [1 per cell]
Sb 0.500 0.500 0.500 [1 per cell]
Te 0.000 0.500 0.500 [2 per cell]
I 0.500 0.500 0.000 [1 per cell]

* raw formation energy: 0.68 eV/atom
* offset from the most stable computed form: 350.4 kJ/mol of formula units

=====

SCAN KRb2TlBr6, single point on PBEsol structure; Fermi-level density of states = 0.00 states/eV per cell; symmetry = Fm-3m; V = 38.3 Å³ per atom; crystal system = cubic; formation energy (no corrections) = -1.3443 eV/atom; calculated density = 3.88 g cm⁻³
1.0
0.0000 5.7634 5.7634
5.7634 0.0000 5.7634
5.7634 5.7634 0.0000
K Rb Tl Br
1 2 1 6
Cartesian
0.0000 0.0000 0.0000 K
2.8817 2.8817 2.8817 Rb
8.6451 8.6451 8.6451 Rb
5.7634 5.7634 5.7634 Tl
5.7634 5.7634 3.0401 Br
5.7634 3.0401 5.7634 Br
8.4867 5.7634 5.7634 Br
3.0401 5.7634 5.7634 Br
5.7634 8.4867 5.7634 Br
5.7634 5.7634 8.4867 Br

=====

1.
Material: InFePt2
Method: DFT, PBE
State: relaxed

Output
symmetry: Pmmm
raw total energy: -6.09 eV/atom
formation enthalpy at 0 K: -272 meV per atom
total moment: 3.3 μB per cell
DOS(E_F): 2.60 states/eV/f.u.

The structure in extended XYZ format:
```
4

Done.
[1]
This record from the Alexandria database describes a relaxed structure of ZrSb2TeI. The functional is PBE.

Cell lengths 5.734, 5.734, 5.606 Å; angles 90.00, 90.00, 90.00 degrees
Space group P4/mmm (No. 123)
Inequivalent atoms, fractional coordinates:
Zr 0.000 0.000 0.000 [1 per cell]
Sb 0.000 0.500 0.500 [2 per cell]
Te 0.500 0.500 0.500 [1 per cell]
I 0.500 0.500 0.000 [1 per cell]

* raw formation energy: 0.99 eV/atom
* offset from the most stable computed form: 452.3 kJ/mol of formula units

[2]
This record from the Alexandria database describes a relaxed structure of ZrSb2TeI. The functional is PBE.

Cell lengths 5.698, 5.698, 5.436 Å; angles 90.00, 90.00, 90.00 degrees
Space group P4/mmm (No. 123)
Inequivalent atoms, fractional coordinates:
Zr 0.000 0.000 0.000 [1 per cell]
Sb 0.000 0.500 0.000 [2 per cell]
Te 0.500 0.500 0.500 [1 per cell]
I 0.000 0.000 0.500 [1 per cell]

* raw formation energy: 0.21 eV/atom
* offset from the most stable computed form: 72.3 kJ/mol of formula units

[3]
This record from the Alexandria database describes a relaxed structure of ZrSbTe2I. The functional is PBE.

Cell lengths 5.676, 5.676, 5.669 Å; angles 90.00, 90.00, 90.00 degrees
Space group P4/mmm (No. 123)
Inequivalent atoms, fractional coordinates:
Zr 0.000 0.000 0.000 [1 per cell]
Sb 0.500 0.500 0.000 [1 per cell]
Te 0.000 0.500 0.500 [2 per cell]
I 0.500 0.500 0.500 [1 per cell]

* raw formation energy: 1.14 eV/atom
* offset from the most stable computed form: 571.6 kJ/mol of formula units

[4]
This record from the Alexandria database describes a relaxed structure of ZrSbTeI2. The functional is PBE.

Cell lengths 5.776, 5.776, 5.993 Å; angles 90.00, 90.00, 90.00 degrees
Space group P4/mmm (No. 123)
Inequivalent atoms, fractional coordinates:
Zr 0.000 0.000 0.000 [1 per cell]
Sb 0.500 0.500 0.000 [1 per cell]
Te 0.500 0.500 0.500 [1 per cell]
I 0.000 0.500 0.500 [2 per cell]

* raw formation energy: 0.91 eV/atom
* offset from the most stable computed form: 441.3 kJ/mol of formula units

[5]
This record from the Alexandria database describes a relaxed structure of ZrSbTeI2. The functional is PBE.

Cell lengths 5.770, 5.770, 5.697 Å; angles 90.00, 90.00, 90.00 degrees
Space group P4/mmm (No. 123)
Inequivalent atoms, fractional coordinates:
Zr 0.000 0.000 0.000 [1 per cell]
Sb 0.500 0.500 0.500 [1 per cell]
Te 0.000 0.000 0.500 [1 per cell]
I 0.000 0.500 0.000 [2 per cell]

* raw formation energy: 0.00 eV/atom
* offset from the most stable computed form: 0.0 kJ/mol of formula units

[6]
This record from the Alexandria database describes a relaxed structure of ZrSbTe2I. The functional is PBE.

Cell lengths 5.751, 5.751, 5.698 Å; angles 90.00, 90.00, 90.00 degrees
Space group P4/mmm (No. 123)
Inequivalent atoms, fractional coordinates:
Zr 0.000 0.000 0.000 [1 per cell]
Sb 0.500 0.500 0.500 [1 per cell]
Te 0.000 0.500 0.500 [2 per cell]
I 0.500 0.500 0.000 [1 per cell]

* raw formation energy: 0.68 eV/atom
* offset from the most stable computed form: 350.4 kJ/mol of formula units

=====

SCAN KRb2TlBr6, single point on PBEsol structure; Fermi-level density of states = 0.00 states/eV per cell; symmetry = Fm-3m; V = 38.3 Å³ per atom; crystal system = cubic; formation energy (no corrections) = -1.3443 eV/atom; calculated density = 3.88 g cm⁻³
1.0
0.0000 5.7634 5.7634
5.7634 0.0000 5.7634
5.7634 5.7634 0.0000
K Rb Tl Br
1 2 1 6
Cartesian
0.0000 0.0000 0.0000 K
2.8817 2.8817 2.8817 Rb
8.6451 8.6451 8.6451 Rb
5.7634 5.7634 5.7634 Tl
5.7634 5.7634 3.0401 Br
5.7634 3.0401 5.7634 Br
8.4867 5.7634 5.7634 Br
3.0401 5.7634 5.7634 Br
5.7634 8.4867 5.7634 Br
5.7634 5.7634 8.4867 Br

=====

1.
Material: InFePt2
Method: DFT, PBE
State: relaxed

Output
symmetry: Pmmm
raw total energy: -6.09 eV/atom
formation enthalpy at 0 K: -272 meV per atom
total moment: 3.3 μB per cell
DOS(E_F): 2.60 states/eV/f.u.

The structure in extended XYZ format:
```
4